Excerpt >
(1)
C48H36BeN2OP2S as an isolated structure, computed with ωB97M-V with the def2-TZVPD basis set.

Geometry as XYZ:
```
91
Properties=species:S:1:pos:R:3:lowdin_charge:R:1
Be -0.01538 -0.74202 -0.40332 0.13
O 4.14622 0.35723 -0.88012 -0.50
S 2.79715 0.56599 -0.26699 0.91
C 2.59013 2.27186 -0.78247 -0.38
C 3.61561 3.22252 -0.66136 -0.01
C 3.46432 4.47231 -1.34852 -0.02
C 2.19299 4.88120 -1.71462 -0.05
C 1.15395 4.03889 -1.51286 -0.09
C 1.31876 2.73701 -1.09900 -0.36
P -0.02291 1.45769 -1.21614 1.14
C -1.47034 2.68884 -0.82383 -0.32
C -1.90799 2.61073 0.49860 -0.12
C -3.12929 3.21676 0.87526 -0.04
C -3.92035 3.77600 -0.13835 -0.07
C -3.43861 4.00901 -1.40382 -0.06
C -2.21913 3.41333 -1.75400 -0.09
C 0.03518 1.26012 -3.06813 -0.34
C 1.23899 1.37219 -3.81970 -0.07
C 1.24305 1.04509 -5.18708 -0.07
C 0.07139 0.57433 -5.81634 -0.05
C -1.14614 0.70414 -5.08583 -0.05
C -1.14448 0.83956 -3.68171 -0.11
C 3.19312 0.35946 1.46332 -0.39
C 4.50039 0.68935 1.75505 -0.05
C 4.70980 1.03643 3.11738 -0.03
C 3.86033 0.57290 4.14623 -0.05
C 2.64647 0.04559 3.77842 -0.09
C 2.28564 -0.07412 2.40571 -0.33
P 0.57814 -0.78248 2.04978 1.12
C -0.45250 0.31824 3.17639 -0.36
C -1.67838 -0.24271 3.53115 -0.14
C -2.61379 0.49638 4.29551 -0.05
C -2.30788 1.78314 4.80759 -0.06
C -1.15314 2.42316 4.37863 -0.05
C -0.29640 1.70141 3.48879 -0.09
C 0.75521 -2.49035 2.55458 -0.38
C 0.21198 -3.08404 3.77419 -0.07
C 0.47852 -4.39675 3.99394 -0.06
C 1.27642 -5.22575 3.10448 -0.02
C 1.71493 -4.63888 1.93199 -0.06
C 1.29187 -3.32079 1.61991 -0.13
H 4.64713 2.91771 -0.30191 0.14
H 4.28688 5.11586 -1.48477 0.10
H 2.01025 5.86630 -2.21317 0.14
H 0.18248 4.40831 -1.70857 0.09
H -1.30415 2.12632 1.26517 0.07
H -3.37928 3.27373 1.89252 0.09
H -4.88987 4.30890 0.09233 0.14
H -3.96296 4.59825 -2.12391 0.11
H -1.79718 3.61220 -2.75632 0.12
H 2.17747 1.55365 -3.36706 0.09
H 2.17257 1.33221 -5.82593 0.15
H 0.24332 0.29820 -6.86274 0.11
H -2.08786 0.65216 -5.61517 0.11
H -2.03286 0.63161 -3.16441 0.08
H 5.32111 0.92324 1.03580 0.13
H 5.63660 1.64093 3.29534 0.13
H 4.13466 0.67046 5.23241 0.14
H 1.93102 -0.46407 4.55556 0.15
H -1.87740 -1.27754 3.16698 0.11
H -3.63019 0.16135 4.41922 0.10
H -3.03079 2.26480 5.46596 0.12
H -0.72745 3.33083 4.76336 0.11
H 0.56827 2.20580 2.94809 0.13
H -0.27307 -2.41914 4.52663 0.12
H 0.09395 -4.83332 4.88164 0.10
H 1.48878 -6.26882 3.31774 0.11
H 2.21257 -5.25300 1.14241 0.12
H 1.47827 -2.88818 0.61045 0.08
C -4.13102 -1.33651 -0.00657 -0.01
C -2.88890 -0.65672 0.12822 -0.04
N -1.80423 -1.08784 -0.51541 0.07
C -1.93547 -2.16345 -1.38908 -0.13
C -3.15511 -2.70549 -1.73367 -0.11
C -4.31316 -2.27039 -0.97420 0.05
C -3.16583 -3.84597 -2.58222 0.02
C -1.99050 -4.48032 -2.84792 0.01
C -0.74452 -3.95167 -2.49879 -0.15
C 0.51732 -4.43113 -2.80791 0.07
C 1.70313 -3.64877 -2.60792 0.03
C 1.55815 -2.38984 -2.04049 -0.02
N 0.33845 -2.04040 -1.46958 0.06
C -0.71822 -2.82264 -1.68902 -0.14
H -4.91958 -0.97944 0.67974 0.14
H -2.69056 0.18278 0.75587 0.09
H -5.23288 -2.85432 -1.05796 0.14
H -4.10278 -4.35232 -2.82882 0.14
H -1.98648 -5.43047 -3.43795 0.15
H 0.63189 -5.38935 -3.31744 0.14
H 2.64370 -4.06745 -2.95371 0.13
H 2.34050 -1.71010 -2.07547 0.09
```

Summary:
total energy = -85187.7614 eV
highest occupied orbital energy = -13.38 eV
ΔE to the lowest compared entry with this formula, charge and spin = 151.4 kJ/mol
LUMO = -6.30 eV
charge = +2

***

(2)
C48H38AsF6NO2P3PtSSe2 as an isolated structure, computed with ωB97M-V with the def2-TZVPD basis set.

Geometry as XYZ:
```
103
Properties=species:S:1:pos:R:3:lowdin_charge:R:1
Pt 0.45149 -0.52779 -0.01520 0.67
O 3.14776 -0.30175 1.65003 -0.08
C 3.85474 -1.13886 0.78526 -0.25
C 5.17179 -0.85521 0.42876 0.01
C 5.83088 -1.79694 -0.33103 0.01
C 5.13865 -2.98630 -0.81308 -0.03
C 3.85735 -3.21165 -0.46392 -0.05
C 3.15191 -2.28574 0.40394 -0.29
P 1.45284 -2.41397 0.72782 0.94
C 1.11383 -2.59467 2.58648 -0.33
C 2.02033 -2.31736 3.59411 -0.08
C 1.58458 -2.41285 4.91756 -0.05
C 0.23430 -2.71331 5.26693 -0.02
Exercise >
Your job: print the part of the material above that starts with the line with "-1.93547 -2.16345" and stops after the one with "3.14776 -0.30175".
Completed >
C -1.93547 -2.16345 -1.38908 -0.13
C -3.15511 -2.70549 -1.73367 -0.11
C -4.31316 -2.27039 -0.97420 0.05
C -3.16583 -3.84597 -2.58222 0.02
C -1.99050 -4.48032 -2.84792 0.01
C -0.74452 -3.95167 -2.49879 -0.15
C 0.51732 -4.43113 -2.80791 0.07
C 1.70313 -3.64877 -2.60792 0.03
C 1.55815 -2.38984 -2.04049 -0.02
N 0.33845 -2.04040 -1.46958 0.06
C -0.71822 -2.82264 -1.68902 -0.14
H -4.91958 -0.97944 0.67974 0.14
H -2.69056 0.18278 0.75587 0.09
H -5.23288 -2.85432 -1.05796 0.14
H -4.10278 -4.35232 -2.82882 0.14
H -1.98648 -5.43047 -3.43795 0.15
H 0.63189 -5.38935 -3.31744 0.14
H 2.64370 -4.06745 -2.95371 0.13
H 2.34050 -1.71010 -2.07547 0.09
```

Summary:
total energy = -85187.7614 eV
highest occupied orbital energy = -13.38 eV
ΔE to the lowest compared entry with this formula, charge and spin = 151.4 kJ/mol
LUMO = -6.30 eV
charge = +2

***

(2)
C48H38AsF6NO2P3PtSSe2 as an isolated structure, computed with ωB97M-V with the def2-TZVPD basis set.

Geometry as XYZ:
```
103
Properties=species:S:1:pos:R:3:lowdin_charge:R:1
Pt 0.45149 -0.52779 -0.01520 0.67
O 3.14776 -0.30175 1.65003 -0.08